The reader should search the lines further below for the word "Pb" and repeat each line that has it.

=====
# Nd3AuCl3
Simulated powder diffraction line list, Cu Kα. Input: DFT lattice parameters and positions (GGA-PBE).
Neutral-atom scattering factors, no anomalous dispersion.

Crystal structure
```
Nd3AuCl3
1.0
-5.950 5.950 5.950
5.950 -5.950 5.950
5.950 5.950 -5.950
Nd Au Cl
12 4 12
Direct
0.005 0.009 0.255
0.005 0.495 0.750
0.009 0.255 0.005
0.245 0.255 0.750
0.245 0.491 0.495
0.255 0.005 0.009
0.255 0.750 0.245
0.491 0.495 0.245
0.495 0.245 0.491
0.495 0.750 0.005
0.750 0.005 0.495
0.750 0.245 0.255
0.000 0.250 0.500
0.250 0.250 0.250
0.250 0.500 0.000
0.500 0.000 0.250
0.250 0.751 0.749
0.250 0.999 0.501
0.501 0.250 0.999
0.501 0.751 0.502
0.502 0.501 0.751
0.749 0.250 0.751
0.749 0.999 0.998
0.751 0.502 0.501
0.751 0.749 0.250
0.998 0.749 0.999
0.999 0.501 0.250
0.999 0.998 0.749
```

Peak list (6 most intense, 10° ≤ 2θ ≤ 90°, in order of rising 2θ)
two_theta	I (rel.)
10.51	100.0
23.64	27.1
30.04	98.7
38.58	27.3
43.00	72.6
70.82	31.9

***

# Ho2ScP3Rh12
Simulated powder diffraction line list, Cu Kα. Input: DFT lattice parameters and positions (GGA-PBE).
Neutral-atom scattering factors, no anomalous dispersion.

Crystal structure
```
Ho2ScP3Rh12
1.0
4.425 2.555 4.281
-4.425 2.555 4.281
0.000 -5.110 4.281
Ho Sc P Rh
2 1 3 12
Direct
0.127 0.127 0.127
0.873 0.873 0.873
0.500 0.500 0.500
0.000 0.500 0.500
0.500 0.000 0.500
0.500 0.500 0.000
0.130 0.130 0.593
0.130 0.593 0.130
0.168 0.677 0.677
0.323 0.323 0.832
0.323 0.832 0.323
0.407 0.870 0.870
0.593 0.130 0.130
0.677 0.168 0.677
0.677 0.677 0.168
0.832 0.323 0.323
0.870 0.407 0.870
0.870 0.870 0.407
```

Peak list (6 most intense, 10° ≤ 2θ ≤ 90°, in order of rising 2θ)
two_theta	I (rel.)
13.45	16.2
36.51	49.2
36.91	19.1
40.78	100.0
42.36	19.8
74.24	14.8

***

# RbNpCu2Se4
Simulated powder diffraction line list, Cu Kα. Input: DFT lattice parameters and positions (GGA-PBE).
Neutral-atom scattering factors, no anomalous dispersion.

Crystal structure
```
RbNpCu2Se4
1.0
-3.283 4.116 4.446
3.283 -4.116 4.446
3.283 4.116 -4.446
Rb Np Cu Se
1 1 2 4
Direct
0.000 0.000 0.000
0.500 0.500 0.000
0.360 0.860 0.500
0.640 0.140 0.500
0.138 0.080 0.578
0.498 0.920 0.058
0.502 0.560 0.422
0.862 0.440 0.942
```

Peak list (6 most intense, 10° ≤ 2θ ≤ 90°, in order of rising 2θ)
two_theta	I (rel.)
14.66	99.8
26.52	100.0
29.58	41.9
33.94	39.2
34.96	65.6
44.41	42.3

***

# Ba2CeAg2S6
Simulated powder diffraction line list, Cu Kα. Input: DFT lattice parameters and positions (GGA-PBE).
Neutral-atom scattering factors, no anomalous dispersion.

Crystal structure
```
Ba2CeAg2S6
1.0
3.728 2.152 6.839
-3.728 2.152 6.839
0.000 -4.305 6.839
Ba Ce Ag S
2 1 2 6
Direct
0.215 0.215 0.215
0.785 0.785 0.785
0.000 0.000 0.000
0.423 0.423 0.423
0.577 0.577 0.577
0.208 0.758 0.758
0.242 0.242 0.792
0.242 0.792 0.242
0.758 0.208 0.758
0.758 0.758 0.208
0.792 0.242 0.242
```

Peak list (6 most intense, 10° ≤ 2θ ≤ 90°, in order of rising 2θ)
two_theta	I (rel.)
23.87	100.0
25.72	64.3
32.78	23.6
35.37	39.7
43.12	42.9
48.86	27.7

***

# Cs2HfPbSe4
Simulated powder diffraction line list, Cu Kα. Input: DFT lattice parameters and positions (GGA-PBE).
Neutral-atom scattering factors, no anomalous dispersion.

Crystal structure
```
Cs2HfPbSe4
1.0
0.000 7.608 12.519
3.674 0.000 12.519
3.674 7.608 0.000
Cs Hf Pb Se
4 2 2 8
Direct
0.057 0.057 0.693
0.307 0.307 0.943
0.693 0.693 0.057
0.943 0.943 0.307
0.125 0.125 0.125
0.875 0.875 0.875
0.375 0.375 0.375
0.625 0.625 0.625
0.072 0.290 0.370
0.232 0.630 0.710
0.290 0.072 0.768
0.370 0.768 0.072
0.630 0.232 0.928
0.710 0.928 0.232
0.768 0.370 0.290
0.928 0.710 0.630
```

Peak list (6 most intense, 10° ≤ 2θ ≤ 90°, in order of rising 2θ)
two_theta	I (rel.)
13.62	100.0
14.15	83.5
23.83	98.5
24.33	89.9
26.95	70.7
32.47	80.2

***

# La8SmTh2
Simulated powder diffraction line list, Cu Kα. Input: DFT lattice parameters and positions (GGA-PBE).
Neutral-atom scattering factors, no anomalous dispersion.

Crystal structure
```
La8SmTh2
1.0
-2.916 4.142 8.205
2.916 -4.142 8.205
=====

Cs Hf Pb Se